_Material_
********
Theoretical powder diffraction line list of Al11TlO17 for λ = 1.5418 Å (Cu Kα), from a crystal structure in Alexandria, relaxed with GGA-PBE.
Lines closer than 0.1° are merged.

Crystal structure
Lattice parameters (Å, degrees): 5.6535 5.6535 23.0928 90.00 90.00 120.00
Space group P6_3/mmc (No. 194)
Asymmetric unit:
Al 0.0000 0.0000 0.0000
Al 0.1675 0.3351 0.1053
Al 0.3333 0.6667 0.5246
Al 0.3333 0.6667 0.6752
Tl 0.3333 0.6667 0.2500
O 0.0000 0.0000 0.1395
O 0.0034 0.5017 0.1436
O 0.1575 0.3150 0.5490
O 0.3333 0.6667 0.0549
O 0.3333 0.6667 0.7500

Top 10 peaks for 10° ≤ 2θ ≤ 90°, by angle:
2θ/deg	intensity	hkl
18.5	88	1 0 1
19.7	82	1 0 2
21.5	46	1 0 3
26.5	45	1 0 5
31.7	56	1 1 0
32.6	38	1 1 2
32.7	100	1 0 7
35.4	91	1 1 4
41.8	50	2 0 5
57.1	51	2 1 7

~~~~~

Starting from the GGA-PBE geometry in Alexandria, the powder diffractogram of NpTl2Ag2Se4 was simulated for CuKα.

Crystal structure
a = 15.378 Å, b = 4.244 Å, c = 7.996 Å
α = 90.00°, β = 110.87°, γ = 90.00°
Space group C2/m (No. 12)
One atom of each set of equivalent atoms:
1 Np 0.000 0.000 0.000 (multiplicity 2)
2 Tl 0.137 0.000 0.577 (multiplicity 4)
3 Ag 0.180 0.500 0.981 (multiplicity 4)
4 Se 0.005 0.500 0.762 (multiplicity 4)
5 Se 0.195 0.000 0.202 (multiplicity 4)

Principal peaks in the range 2θ = 15–90°, low angle first:
two_theta	Rel. int.	hkl
21.84	31	1 1 0
23.34	33	4 0 -1
27.80	58	3 1 -1
30.81	99	1 1 -2
31.24	31	4 0 1
32.40	59	3 1 -2
33.15	100	3 1 1
37.56	33	6 0 0
42.61	46	0 2 0
47.39	30	7 1 -2

***

Starting from the GGA-PBE geometry in Alexandria, the powder diffractogram of Tm3NpAg3Se8 was simulated for CuKα.

Crystal structure
a = 13.758 Å, b = 8.251 Å, c = 8.049 Å
α = 90.00°, β = 123.47°, γ = 90.00°
Space group C2/m (No. 12)
One atom of each set of equivalent atoms:
1 Tm 0.000 0.000 0.000 (multiplicity 2)
2 Tm 0.250 0.250 0.500 (multiplicity 4)
3 Np 0.000 0.500 0.000 (multiplicity 2)
4 Ag 0.000 0.500 0.500 (multiplicity 2)
5 Ag 0.250 0.250 0.000 (multiplicity 4)
6 Se 0.003 0.249 0.247 (multiplicity 8)
7 Se 0.248 0.000 0.253 (multiplicity 4)
8 Se 0.248 0.500 0.256 (multiplicity 4)

Principal peaks in the range 2θ = 15–90°, low angle first:
two_theta	Rel. int.	hkl
25.35	12	2 0 1
26.59	14	0 0 2
31.06	100	2 2 -2
31.17	50	4 0 0
43.90	58	2 2 2
45.09	18	4 0 -4
45.25	35	6 2 -2
54.81	20	4 4 0
64.75	12	4 4 -4
72.64	17	0 4 4

***

Starting from the GGA-PBE geometry in Alexandria, the powder diffractogram of NpAg3Te4 was simulated for CuKα.

Crystal structure
a = 6.018 Å, b = 9.989 Å, c = 8.652 Å
α = 90.00°, β = 90.00°, γ = 90.00°
Space group Pmmn (No. 59, origin choice 2)
One atom of each set of equivalent atoms:
1 Np 0.250 0.250 0.166 (multiplicity 2)
2 Ag 0.250 0.507 0.670 (multiplicity 4)
3 Ag 0.250 0.750 0.159 (multiplicity 2)
4 Te 0.250 0.250 0.817 (multiplicity 2)
5 Te 0.250 0.512 0.340 (multiplicity 4)
6 Te 0.250 0.750 0.835 (multiplicity 2)

Principal peaks in the range 2θ = 15–90°, low angle first:
two_theta	Rel. int.	hkl
20.53	100	0 0 2
29.69	54	2 0 0
35.96	95	0 4 0
36.37	47	2 0 2
41.77	17	0 4 2
47.30	86	2 4 0
52.08	16	2 4 2
64.64	16	0 0 6
72.73	23	2 0 6
73.49	23	4 4 0

***
********

_Wanted_
It remains to retype every line further above that contains the word "GGA-PBE".

_Completed_
Theoretical powder diffraction line list of Al11TlO17 for λ = 1.5418 Å (Cu Kα), from a crystal structure in Alexandria, relaxed with GGA-PBE.
Starting from the GGA-PBE geometry in Alexandria, the powder diffractogram of NpTl2Ag2Se4 was simulated for CuKα.
Starting from the GGA-PBE geometry in Alexandria, the powder diffractogram of Tm3NpAg3Se8 was simulated for CuKα.
Starting from the GGA-PBE geometry in Alexandria, the powder diffractogram of NpAg3Te4 was simulated for CuKα.